

Foyer de Danse

Choreographer: Frederick Ashton
Composer: Lord Berners
Music note: Danced to live music


L'Etoile Maude Lloyd
Le Maître de Ballet Frank Staff
Coryphée Andrée Howard
Coryphée Elisabeth Schooling
Coryphée Susette Morfield
Coryphée Tamara Svetlova
Coryphée Ann Gee
Coryphée Celia Franks
Coryphée Olivia Sarel
Coryphée Sally Gilmour
Coryphée Deborah Dering
Un Abonné James Moore
Piano Angus Morrison
Piano Edwin Benbow

Musical Interlude

Music note: Musical interlude between dances


Piano Angus Morrison
Piano Edwin Benbow

The Planets

Choreographer: Antony Tudor
Composer: Gustav Holst
Music note: Danced to live music


Mortal born under Venus Deborah Dering
Mortal born under Venus Leo Kersley
The Planet Elisabeth Schooling
Dancer Tamara Svetlova
Dancer Ann Gee
Dancer Daphne Gow
Dancer Angela Dukes
Mortal born under Mars Walter Gore
The Planet Angela Dukes
Dancer Susette Morfield
Dancer Olivia Sarel
Dancer Celia Franks
Dancer Sally Gilmour
Mortal born under Neptune Maude Lloyd
The Planet Daphne Gow
Dancer Tamara Svetlova
Dancer Angela Dukes
Piano Angus Morrison
Piano Edwin Benbow


Choreographer: Andrée Howard, Susan Salaman
Composer: Maurice Ravel
Music note: Danced to live music


The Mermaid Maude Lloyd
Attendant Tamara Svetlova
Attendant Ann Gee
Attendant Daphne Gow
Attendant Angela Dukes
Attendant Deborah Dering
The Prince Walter Gore
His Bride Andrée Howard
His Friend Tamara Svetlova
His Friend Ann Gee
His Friend Celia Franks
His Friend Frank Staff
His Friend Leo Kersley
His Friend Nicholas Hilliard
Piano Angus Morrison
Piano Edwin Benbow

Musical Interlude

Music note: Musical interlude between dances


Piano Angus Morrison
Piano Edwin Benbow

Le Cricket

Choreographer: Susan Salaman
Composer: Arthur Benjamin
Music note: Danced to live music


Fielder Ann Gee
Fielder Deborah Dering
Fielder Angela Dukes
The Batsman Frank Staff
The Bowler Leo Kersley
The Umpire Nicholas Hilliard
Piano Angus Morrison
Piano Edwin Benbow
Performance note: Performed as part of 'Sporting Sketches'

Le Rugby

Choreographer: Susan Salaman
Composer: Francis Poulenc
Music note: Danced to live music


The Rugby Player Walter Gore
His 'Fan' Andrée Howard
His Fan Elisabeth Schooling
His Fan Sally Gilmour
Piano Angus Morrison
Piano Edwin Benbow
Performance note: Performed as part of 'Sporting Sketches'

Le Boxing

Choreographer: Susan Salaman
Composer: Lord Berners
Music note: Danced to live music


The Sports Girl Celia Franks
The Trainer Leo Kersley
The Vamp de Luxe Maude Lloyd
The English Champion Frank Staff
The American Champion Walter Gore
Piano Angus Morrison
Piano Edwin Benbow
Performance note: Performed as part of 'Sporting Sketches'

Death and the Maiden

Choreographer: Andrée Howard
Composer: Franz Schubert
Music note: Danced to live music

### Next to the page, the page also holds calculated crystals
- - -
# 1
For Sn2AuSe4, a crystal structure in Alexandria, relaxed with PBE gives the simulated XRD peak list in this record (Cu Kα (weighted mean of Kα1 and Kα2)).
Lines closer than 0.1° are merged.

Atomic structure:
```
Sn2AuSe4
1.0
5.2105 -6.0022 0.0000
5.2105 6.0022 0.0000
-5.1858 0.0000 5.9994
Sn Au Se
4 2 8
direct
0.0105 0.9895 0.5000
0.0119 0.5378 0.0468
0.5378 0.0119 0.5468
0.9895 0.0105 0.0000
0.2782 0.5506 0.7482
0.5506 0.2782 0.2482
0.2318 0.7469 0.5098
0.2384 0.2763 0.9779
0.2763 0.2384 0.4779
0.2793 0.8237 0.0600
0.7469 0.2318 0.0098
0.7477 0.7588 0.5375
0.7588 0.7477 0.0375
0.8237 0.2793 0.5600
```

Main lines, sorted by position (2θ from 10° to 90°):
two_theta	intensity
22.60	62
24.97	100
27.75	49
34.43	61
39.24	77
42.61	71

# 2
For LaTlSeF2, a crystal structure in Alexandria, relaxed with PBE gives the simulated XRD peak list in this record (Cu Kα (weighted mean of Kα1 and Kα2)).
Lines closer than 0.1° are merged.

Atomic structure:
```
LaTlSeF2
1.0
4.7163 0.0000 0.0000
0.0000 4.7163 0.0000
0.0000 0.0000 6.0053
La Tl Se F
1 1 1 2
direct
0.0000 0.0000 0.0000
0.5000 0.5000 0.5000
0.0000 0.0000 0.5000
0.0000 0.5000 0.0000
0.5000 0.0000 0.0000
```

Main lines, sorted by position (2θ from 10° to 90°):
two_theta	intensity
23.99	100
26.73	83
29.75	47
38.16	48
40.42	56
49.13	46

----------

Starting from the GGA-PBE geometry in the Materials Project, the X-ray powder pattern of SrMgTl2 was computed for Cu Kα (λ = 1.5418 Å).
Neutral-atom scattering factors, no anomalous dispersion.

The 6 most intense peaks (10 to 90 degrees two-theta), in order of falling intensity:
(hkl), two_theta, d [Å], I_rel
2 2 0, 32.58, 2.748, 100
4 2 2, 58.14, 1.587, 39
2 0 0, 22.88, 3.886, 37
4 0 0, 46.75, 1.943, 18
6 2 0, 77.70, 1.229, 17
4 2 0, 52.66, 1.738, 17

```
16
Lattice="7.7725 0.0000 0.0000 0.0000 7.7725 0.0000 0.0000 0.0000 7.7725" Properties=species:S:1:pos:R:3 pbc="T T T"
Sr 0.0000 0.0000 0.0000
Sr 0.0000 3.8862 3.8862
Sr 3.8862 0.0000 3.8862
Sr 3.8862 3.8862 0.0000
Mg 0.0000 0.0000 3.8862
Mg 0.0000 3.8862 0.0000
Mg 3.8862 0.0000 0.0000
Mg 3.8862 3.8862 3.8862
Tl 1.9431 1.9431 1.9431
Tl 1.9431 1.9431 5.8293
Tl 1.9431 5.8293 1.9431
Tl 1.9431 5.8293 5.8293
Tl 5.8293 1.9431 1.9431
Tl 5.8293 1.9431 5.8293
Tl 5.8293 5.8293 1.9431
Tl 5.8293 5.8293 5.8293
```


Starting from the GGA-PBE geometry in the Materials Project, the X-ray powder pattern of W2NCl8 was computed for Cu Kα (λ = 1.5418 Å).
Neutral-atom scattering factors, no anomalous dispersion.

The 6 most intense peaks (10 to 90 degrees two-theta), in order of falling intensity:
(hkl), two_theta, d [Å], I_rel
1 0 0, 13.43, 6.591, 100
0 1 0, 13.21, 6.703, 84
1 2 -1, 31.73, 2.820, 56
0 0 2, 25.49, 3.494, 29
1 -1 0, 20.03, 4.434, 29
1 0 2, 27.20, 3.278, 26

```
11
Lattice="6.7037 0.0000 0.0000 0.8275 6.7038 0.0000 0.9575 -0.1124 6.9884" Properties=species:S:1:pos:R:3 pbc="T T T"
W 0.6378 0.5730 1.6189
W 7.8509 6.0184 5.3695
N 0.0000 0.0000 0.0000
Cl 1.4197 1.1422 4.1218
Cl 1.8205 2.3992 0.9135
- - -


Dancer Andrée Howard
Dancer Frank Staff
Dancer Tamara Svetlova
Dancer Ann Gee
Dancer Celia Franks
Dancer Sally Gilmour
Piano Angus Morrison
Piano Edwin Benbow

Musical Interlude

Music note: Musical interlude between dances


Piano Angus Morrison
Piano Edwin Benbow

Attached: crystal structures:
- - -
The following is a simulated powder diffraction line list of RbAlH4. It was derived from a structure optimized by DFT (PBE), using Cu Kα (λ = 1.5418 Å).

Peak list (6 most intense, 2θ from 10° to 80°, by angle)
- 18.90°, d = 4.697 Å, I = 48
- 21.11°, d = 4.209 Å, I = 53
- 24.03°, d = 3.703 Å, I = 100
- 24.96°, d = 3.567 Å, I = 75
- 26.71°, d = 3.337 Å, I = 93
- 30.15°, d = 2.964 Å, I = 50

Lattice parameters (Å, degrees): 9.4864 5.9274 7.6985 90.00 90.00 90.00
Element x y z (fractional)
Rb  0.1817  0.2500  0.1597
Rb  0.3183  0.7500  0.6597
Rb  0.6817  0.2500  0.3403
Rb  0.8183  0.7500  0.8403
Al  0.0616  0.2500  0.6864
Al  0.4384  0.7500  0.1864
Al  0.5616  0.2500  0.8136
Al  0.9384  0.7500  0.3136
H  0.0799  0.0268  0.8104
H  0.0799  0.4732  0.8104
H  0.0960  0.7500  0.3978
H  0.1864  0.2500  0.5410
H  0.3136  0.7500  0.0410
H  0.4040  0.2500  0.8978
H  0.4200  0.5268  0.3104
H  0.4200  0.9732  0.3104
H  0.5800  0.0268  0.6896
H  0.5800  0.4732  0.6896
H  0.5960  0.7500  0.1022
H  0.6864  0.2500  0.9590
H  0.8136  0.7500  0.4590
H  0.9040  0.2500  0.6022
H  0.9200  0.5268  0.1896
H  0.9200  0.9732  0.1896


The following is a simulated powder diffraction line list of MnIn2Te4. It was derived from a structure optimized by DFT (PBE), using Cu Kα (λ = 1.5418 Å).

Peak list (6 most intense, 2θ from 10° to 80°, by angle)
- 24.48°, d = 3.637 Å, I = 100
- 32.52°, d = 2.754 Å, I = 14
- 40.42°, d = 2.231 Å, I = 23
- 40.55°, d = 2.225 Å, I = 46
- 47.83°, d = 1.902 Å, I = 27
- 48.04°, d = 1.894 Å, I = 15

Lattice parameters (Å, degrees): 6.3112 6.3112 12.5484 90.00 90.00 90.00
Element x y z (fractional)
Mn  0.0000  0.0000  0.0000
Mn  0.5000  0.5000  0.5000
In  0.0000  0.0000  0.5000
In  0.0000  0.5000  0.7500
In  0.5000  0.0000  0.2500
In  0.5000  0.5000  0.0000
Te  0.2185  0.7334  0.1330
Te  0.2334  0.2815  0.3670
Te  0.2666  0.2185  0.8670
Te  0.2815  0.7666  0.6330
Te  0.7185  0.2334  0.6330
Te  0.7334  0.7815  0.8670
Te  0.7666  0.7185  0.3670
Te  0.7815  0.2666  0.1330


The following is a simulated powder diffraction line list of TaAs. It was derived from a structure optimized by DFT (PBE), using Cu Kα (λ = 1.5418 Å).

Peak list (6 most intense, 2θ from 10° to 80°, by angle)
- 26.79°, d = 3.327 Å, I = 37
- 30.47°, d = 2.934 Å, I = 24
- 34.56°, d = 2.596 Å, I = 53
- 39.83°, d = 2.263 Å, I = 100
- 46.73°, d = 1.944 Å, I = 37
- 52.77°, d = 1.735 Å, I = 28

Lattice parameters (Å, degrees): 3.4696 3.4696 11.7349 90.00 90.00 90.00
Element x y z (fractional)
Ta  0.0000  0.0000  0.0000
Ta  0.0000  0.5000  0.2500
Ta  0.5000  0.0000  0.7500
Ta  0.5000  0.5000  0.5000
As  0.0000  0.0000  0.4178
As  0.0000  0.5000  0.6678
As  0.5000  0.0000  0.1678
As  0.5000  0.5000  0.9178

----------

The following is a theoretical powder diffractogram of Rb3Ag2PdF9. It was derived from DFT lattice parameters and positions (PBE), using Cu Kα, 1.54184 Å.
No peak broadening, texture or thermal motion is included.

Top 8 peaks for 2θ from 10° to 80°, by angle:
- - -

Bar aux Folies-Bergère

Choreographer: Ninette de Valois
Composer: Emanuel Chabrier
Music note: Danced to live music

Calculated crystals, kept here for reference
'''
# DyInCu4
Theoretical powder XRD pattern, CuKα. Input: the GGA-PBE geometry in the Materials Project.

Crystal structure
```
DyInCu4
1.0
0.0000 3.6192 3.6192
3.6192 0.0000 3.6192
3.6192 3.6192 0.0000
Dy In Cu
1 1 4
Direct
0.0000 0.0000 0.0000
0.7500 0.7500 0.7500
0.3753 0.3753 0.3753
0.3753 0.3753 0.8741
0.3753 0.8741 0.3753
0.8741 0.3753 0.3753
```

Top 10 peaks for 2θ from 10° to 90°, in order of falling intensity:
2theta	I_rel
41.37	100.0
35.06	54.0
67.20	30.0
74.10	22.5
43.30	20.2
62.90	19.5
88.60	10.7
84.69	8.6
21.26	6.7
89.90	6.5

----------

No. 1
Starting from a cell relaxed with PBE, the powder diffraction line list of La3DyAs4 was computed for Cu Ka.

Top 8 peaks for 2θ = 10–80°, in order of rising 2θ:
- 2θ = 25.28°, 3.523 Å, rel. 17, hkl 2 0 0
- 2θ = 29.27°, 3.051 Å, rel. 100, hkl 1 2 1
- 2θ = 41.87°, 2.157 Å, rel. 75, hkl 2 0 2
- 2θ = 49.54°, 1.840 Å, rel. 8, hkl 4 0 -2
- 2θ = 51.91°, 1.762 Å, rel. 27, hkl 0 0 4
- 2θ = 60.71°, 1.526 Å, rel. 12, hkl 2 4 2
- 2θ = 68.79°, 1.365 Å, rel. 28, hkl 0 4 4
- 2θ = 76.46°, 1.246 Å, rel. 19, hkl 1 2 5

Structure:
abc: 7.4697 8.6371 7.4726
angles: 90.00 109.51 90.00
Space group P2/c (No. 13)
Asymmetric unit:
La: 0.0000 0.1238 0.2500 x2
La: 0.0000 0.3729 0.7500 x2
La: 0.5000 0.3731 0.2500 x2
Dy: 0.5000 0.1235 0.7500 x2
As: 0.2540 0.3701 0.5051 x4
As: 0.2596 0.1198 0.9994 x4

No. 2
Starting from a cell relaxed with PBE, the powder diffraction line list of Na8B13C3 was computed for Cu Ka.

Top 8 peaks for 2θ = 10–80°, in order of rising 2θ:
- 2θ = 33.62°, 2.666 Å, rel. 14, hkl 0 0 4
- 2θ = 36.26°, 2.477 Å, rel. 17, hkl 1 0 2
- 2θ = 39.69°, 2.271 Å, rel. 51, hkl 0 2 4
- 2θ = 41.65°, 2.169 Å, rel. 38, hkl 0 4 0
- 2θ = 42.00°, 2.151 Å, rel. 100, hkl 1 2 2
- 2θ = 61.85°, 1.500 Å, rel. 18, hkl 1 0 6
- 2θ = 76.25°, 1.249 Å, rel. 13, hkl 1 6 2
- 2θ = 77.34°, 1.234 Å, rel. 17, hkl 1 4 6

Structure:
abc: 2.7978 8.6744 10.6634
angles: 90.00 90.00 90.00
Space group Pmm2 (No. 25)
Asymmetric unit:
Na: 0.0000 0.2470 0.0000 x2
Na: 0.0000 0.2490 0.5039 x2
Na: 0.5000 0.2479 0.2519 x2
Na: 0.5000 0.2509 0.7531 x2
B: 0.0000 0.0000 0.1709 x1
B: 0.0000 0.0000 0.3305 x1
B: 0.0000 0.0000 0.6876 x1
B: 0.0000 0.5000 0.1656 x1
B: 0.0000 0.5000 0.3290 x1
B: 0.0000 0.5000 0.8337 x1
B: 0.5000 0.0000 0.0700 x1
B: 0.5000 0.0000 0.4284 x1
B: 0.5000 0.0000 0.5870 x1
B: 0.5000 0.0000 0.9086 x1
B: 0.5000 0.5000 0.0589 x1
B: 0.5000 0.5000 0.4371 x1
B: 0.5000 0.5000 0.6044 x1
C: 0.0000 0.0000 0.8335 x1
C: 0.0000 0.5000 0.6810 x1
C: 0.5000 0.5000 0.9119 x1

No. 3
Starting from a cell relaxed with PBE, the powder diffraction line list of Cs2YInBr6 was computed for Cu Ka.

Top 8 peaks for 2θ = 10–80°, in order of rising 2θ:
- 2θ = 21.16°, 4.199 Å, rel. 51, hkl 1 1 -3
- 2θ = 25.12°, 3.545 Å, rel. 18, hkl 2 1 -3
- 2θ = 25.62°, 3.477 Å, rel. 26, hkl 0 2 2
- 2θ = 26.32°, 3.386 Å, rel. 24, hkl 2 0 0
- 2θ = 30.09°, 2.970 Å, rel. 100, hkl 0 0 4
- 2θ = 34.02°, 2.635 Å, rel. 17, hkl 1 3 0
- 2θ = 37.55°, 2.396 Å, rel. 31, hkl 3 1 -1
'''


La Goulue, Étoile du Can-Can Maude Lloyd
La Fille au Bar Elisabeth Schooling
Grille d'Égout Tamara Svetlova
Hirondelle Ann Gee
Nini Patte en l'air Celia Franks
La Môme Fromage Patricia Clogstoun
La Môme Fromage Angela Dukes
Valentin, Garçon Walter Gore
Habitués du Bar
Adolphe Frank Staff
Gustave Leo Kersley
Le Vieux Marcheur Frank Staff
Servante Susette Morfield
Piano Angus Morrison
Piano Edwin Benbow
Performance note: The programme lists Clogstoun or Dukes as La Mome Fromage without specifying who danced at this performance. Both are listed here.
Source: Programme for 7-19 June 1937 and insert for 18-19 June in the Rambert Archive